**Activity**
Give back the whole of the material further down exactly.

**Contents**
~~~
(1)
DFT (ωB97M-V with the def2-TZVPD basis set) results for a single C4H6O2 molecule.

```
12
Properties=species:S:1:pos:R:3:forces:R:3:lowdin_charge:R:1
C 1.6331 0.1291 0.4410 0.26 -0.17 -0.23 -0.19
H -0.5019 -0.3901 -1.8820 0.04 -0.05 0.13 0.09
H -2.1229 0.9827 0.2671 -0.03 0.03 0.15 0.01
H -1.3559 -1.0681 -0.4922 0.13 0.08 -0.06 0.08
H 0.1436 1.3369 -0.4459 -0.01 -0.10 0.04 0.16
O -0.5485 0.4945 1.2990 -0.26 0.02 0.24 -0.17
H 0.2954 -1.6046 -0.8780 -0.09 0.13 0.04 0.08
C -1.7990 0.8480 1.3401 0.37 -0.08 -0.27 0.06
C 0.1837 0.3537 0.0403 0.00 -0.03 -0.24 -0.31
C -0.3772 -0.7437 -0.8567 -0.06 -0.08 -0.06 -0.02
H 1.9271 0.6180 1.3911 0.02 -0.08 -0.09 0.14
O 2.4084 -0.5043 -0.2296 -0.37 0.33 0.36 0.08
```
Positions in Å, forces in eV/Å.

Results
HOMO-LUMO gap: 9.16 eV
Multiplicity: 1

---

(2)
DFT (ωB97M-V with the def2-TZVPD basis set) results for a molecular structure, C4H6O2.

```
12
Properties=species:S:1:pos:R:3:forces:R:3:lowdin_charge:R:1
H 1.3635 -0.3745 0.6956 -0.13 0.07 -0.05 0.15
C -0.7308 -0.9803 0.7780 -0.07 -0.04 0.04 -0.04
H -0.5182 -1.3305 1.7902 -0.04 0.08 -0.10 0.08
O 0.2674 1.5778 -1.0507 0.00 0.16 0.04 0.05
C 0.1598 1.4045 0.2999 -0.09 0.34 0.50 -0.47
H -0.2931 -0.2808 -1.8693 0.09 0.08 0.10 0.13
C 0.5003 0.1575 -1.2580 0.04 -0.28 -0.19 -0.10
H -1.6778 -0.4353 0.8105 0.09 -0.03 -0.06 0.09
C 0.4021 -0.1030 0.2504 0.05 -0.05 0.02 -0.23
H -0.8752 -1.8580 0.1418 0.10 0.06 0.08 0.08
O -0.0779 2.2316 1.1247 0.12 -0.40 -0.41 0.14
H 1.4798 -0.0088 -1.7133 -0.17 0.02 0.05 0.12
```
Positions in Å, forces in eV/Å.

Results
HOMO-LUMO gap: 11.35 eV
Multiplicity: 1

---

(3)
DFT (ωB97M-V with the def2-TZVPD basis set) results for a molecular structure, C4H6O2.

```
12
Properties=species:S:1:pos:R:3:forces:R:3:lowdin_charge:R:1
H 1.2860 1.6526 0.0683 -0.15 -0.07 0.03 0.15
H -2.0262 -0.9985 -0.1479 0.11 0.17 0.03 0.11
H 1.7377 -0.8787 0.4546 -0.05 0.05 -0.09 0.13
O -0.0623 -1.3232 -0.4944 -0.16 -0.06 0.02 -0.09
H 1.6462 -0.5886 -1.3152 -0.04 0.01 0.08 0.13
C 0.5573 0.8544 -0.0636 0.12 -0.06 -0.08 -0.37
C 1.1074 -0.5203 -0.3694 0.26 0.10 -0.03 -0.11
C -1.0470 -0.9206 0.3116 -0.15 -0.34 0.10 -0.03
H -1.0334 2.1966 -0.3738 -0.05 -0.21 0.01 0.06
C -0.8381 1.1154 -0.4430 0.07 0.30 -0.18 0.01
O -0.3291 0.6943 1.0310 0.00 -0.04 0.21 -0.12
H -0.9987 -1.2835 1.3418 0.04 0.15 -0.10 0.12
```
Positions in Å, forces in eV/Å.

Results
HOMO-LUMO gap: 8.60 eV
Multiplicity: 1

---

(4)
DFT (ωB97M-V with the def2-TZVPD basis set) results for a single C4H6O2 molecule in a non-equilibrium geometry.

```
12
Properties=species:S:1:pos:R:3:forces:R:3:lowdin_charge:R:1
C 0.8296 1.4899 -0.0884 0.41 -6.02 0.02 0.11
O -1.8233 0.5433 0.9254 -2.40 -3.89 -5.76 -0.01
H 0.9413 -1.8324 -0.4015 0.33 -0.47 -0.63 0.07
H 1.8312 1.6699 0.3307 -0.75 -0.32 0.14 0.07
C 0.8949 -1.0855 0.3608 -0.99 0.53 1.04 -0.04
H -2.7933 -0.6098 -0.9005 1.43 1.49 2.38 0.19
H 0.2151 -1.5279 1.1523 0.80 0.74 -0.62 0.11
C -1.9485 -0.0746 -0.2130 1.76 2.53 2.60 -0.19
H 0.4481 2.2294 -0.6802 -1.32 1.90 -1.16 0.02
C 0.3363 0.1705 -0.2229 1.80 3.43 0.24 -0.37
H 1.8674 -0.8301 0.7419 0.40 -0.39 0.41 0.08
O -0.7989 -0.1429 -1.0045 -1.47 0.45 1.33 -0.05
```
Positions in Å, forces in eV/Å.

Results
Structure (SMILES): C=C(C)OC=O
HOMO-LUMO gap: 10.22 eV
Multiplicity: 1

---

(5)
DFT (ωB97M-V with the def2-TZVPD basis set) results for a single C4H6O2 molecule.

```
12
Properties=species:S:1:pos:R:3:forces:R:3:lowdin_charge:R:1
H 1.0490 1.7169 -0.5541 -0.10 -0.09 0.03 0.14
H -0.0484 -1.8986 -1.1702 0.03 0.15 0.11 0.12
H -1.3613 -1.0958 0.7364 0.11 0.07 -0.02 0.13
H -0.6792 1.9979 -0.8742 0.09 -0.12 0.10 0.14
C 0.3288 -1.0235 -0.6357 0.06 -0.22 0.06 -0.20
C 0.0506 1.2494 -0.5510 0.01 0.20 0.09 -0.12
H 1.4225 -1.1172 -0.5477 -0.13 0.06 -0.01 0.12
C -0.2481 0.7249 0.8519 -0.06 0.20 0.26 -0.36
H 0.1936 -1.2839 1.5699 -0.05 0.12 -0.11 0.13
O -0.3879 1.3942 1.8448 0.06 -0.31 -0.43 0.10
C -0.3077 -0.7926 0.7330 0.01 -0.04 0.03 -0.07
O -0.0119 0.1283 -1.4030 -0.02 -0.02 -0.12 -0.13
```
~~~

**Worked solution**
(1)
DFT (ωB97M-V with the def2-TZVPD basis set) results for a single C4H6O2 molecule.

```
12
Properties=species:S:1:pos:R:3:forces:R:3:lowdin_charge:R:1
C 1.6331 0.1291 0.4410 0.26 -0.17 -0.23 -0.19
H -0.5019 -0.3901 -1.8820 0.04 -0.05 0.13 0.09
H -2.1229 0.9827 0.2671 -0.03 0.03 0.15 0.01
H -1.3559 -1.0681 -0.4922 0.13 0.08 -0.06 0.08
H 0.1436 1.3369 -0.4459 -0.01 -0.10 0.04 0.16
O -0.5485 0.4945 1.2990 -0.26 0.02 0.24 -0.17
H 0.2954 -1.6046 -0.8780 -0.09 0.13 0.04 0.08
C -1.7990 0.8480 1.3401 0.37 -0.08 -0.27 0.06
C 0.1837 0.3537 0.0403 0.00 -0.03 -0.24 -0.31
C -0.3772 -0.7437 -0.8567 -0.06 -0.08 -0.06 -0.02
H 1.9271 0.6180 1.3911 0.02 -0.08 -0.09 0.14
O 2.4084 -0.5043 -0.2296 -0.37 0.33 0.36 0.08
```
Positions in Å, forces in eV/Å.

Results
HOMO-LUMO gap: 9.16 eV
Multiplicity: 1

---

(2)
DFT (ωB97M-V with the def2-TZVPD basis set) results for a molecular structure, C4H6O2.

```
12
Properties=species:S:1:pos:R:3:forces:R:3:lowdin_charge:R:1
H 1.3635 -0.3745 0.6956 -0.13 0.07 -0.05 0.15
C -0.7308 -0.9803 0.7780 -0.07 -0.04 0.04 -0.04
H -0.5182 -1.3305 1.7902 -0.04 0.08 -0.10 0.08
O 0.2674 1.5778 -1.0507 0.00 0.16 0.04 0.05
C 0.1598 1.4045 0.2999 -0.09 0.34 0.50 -0.47
H -0.2931 -0.2808 -1.8693 0.09 0.08 0.10 0.13
C 0.5003 0.1575 -1.2580 0.04 -0.28 -0.19 -0.10
H -1.6778 -0.4353 0.8105 0.09 -0.03 -0.06 0.09
C 0.4021 -0.1030 0.2504 0.05 -0.05 0.02 -0.23
H -0.8752 -1.8580 0.1418 0.10 0.06 0.08 0.08
O -0.0779 2.2316 1.1247 0.12 -0.40 -0.41 0.14
H 1.4798 -0.0088 -1.7133 -0.17 0.02 0.05 0.12
```
Positions in Å, forces in eV/Å.

Results
HOMO-LUMO gap: 11.35 eV
Multiplicity: 1

---

(3)
DFT (ωB97M-V with the def2-TZVPD basis set) results for a molecular structure, C4H6O2.

```
12
Properties=species:S:1:pos:R:3:forces:R:3:lowdin_charge:R:1
H 1.2860 1.6526 0.0683 -0.15 -0.07 0.03 0.15
H -2.0262 -0.9985 -0.1479 0.11 0.17 0.03 0.11
H 1.7377 -0.8787 0.4546 -0.05 0.05 -0.09 0.13
O -0.0623 -1.3232 -0.4944 -0.16 -0.06 0.02 -0.09
H 1.6462 -0.5886 -1.3152 -0.04 0.01 0.08 0.13
C 0.5573 0.8544 -0.0636 0.12 -0.06 -0.08 -0.37
C 1.1074 -0.5203 -0.3694 0.26 0.10 -0.03 -0.11
C -1.0470 -0.9206 0.3116 -0.15 -0.34 0.10 -0.03
H -1.0334 2.1966 -0.3738 -0.05 -0.21 0.01 0.06
C -0.8381 1.1154 -0.4430 0.07 0.30 -0.18 0.01
O -0.3291 0.6943 1.0310 0.00 -0.04 0.21 -0.12
H -0.9987 -1.2835 1.3418 0.04 0.15 -0.10 0.12
```
Positions in Å, forces in eV/Å.

Results
HOMO-LUMO gap: 8.60 eV
Multiplicity: 1

---

(4)
DFT (ωB97M-V with the def2-TZVPD basis set) results for a single C4H6O2 molecule in a non-equilibrium geometry.

```
12
Properties=species:S:1:pos:R:3:forces:R:3:lowdin_charge:R:1
C 0.8296 1.4899 -0.0884 0.41 -6.02 0.02 0.11
O -1.8233 0.5433 0.9254 -2.40 -3.89 -5.76 -0.01
H 0.9413 -1.8324 -0.4015 0.33 -0.47 -0.63 0.07
H 1.8312 1.6699 0.3307 -0.75 -0.32 0.14 0.07
C 0.8949 -1.0855 0.3608 -0.99 0.53 1.04 -0.04
H -2.7933 -0.6098 -0.9005 1.43 1.49 2.38 0.19
H 0.2151 -1.5279 1.1523 0.80 0.74 -0.62 0.11
C -1.9485 -0.0746 -0.2130 1.76 2.53 2.60 -0.19
H 0.4481 2.2294 -0.6802 -1.32 1.90 -1.16 0.02
C 0.3363 0.1705 -0.2229 1.80 3.43 0.24 -0.37
H 1.8674 -0.8301 0.7419 0.40 -0.39 0.41 0.08
O -0.7989 -0.1429 -1.0045 -1.47 0.45 1.33 -0.05
```
Positions in Å, forces in eV/Å.

Results
Structure (SMILES): C=C(C)OC=O
HOMO-LUMO gap: 10.22 eV
Multiplicity: 1

---

(5)
DFT (ωB97M-V with the def2-TZVPD basis set) results for a single C4H6O2 molecule.

```
12
Properties=species:S:1:pos:R:3:forces:R:3:lowdin_charge:R:1
H 1.0490 1.7169 -0.5541 -0.10 -0.09 0.03 0.14
H -0.0484 -1.8986 -1.1702 0.03 0.15 0.11 0.12
H -1.3613 -1.0958 0.7364 0.11 0.07 -0.02 0.13
H -0.6792 1.9979 -0.8742 0.09 -0.12 0.10 0.14
C 0.3288 -1.0235 -0.6357 0.06 -0.22 0.06 -0.20
C 0.0506 1.2494 -0.5510 0.01 0.20 0.09 -0.12
H 1.4225 -1.1172 -0.5477 -0.13 0.06 -0.01 0.12
C -0.2481 0.7249 0.8519 -0.06 0.20 0.26 -0.36
H 0.1936 -1.2839 1.5699 -0.05 0.12 -0.11 0.13
O -0.3879 1.3942 1.8448 0.06 -0.31 -0.43 0.10
C -0.3077 -0.7926 0.7330 0.01 -0.04 0.03 -0.07
O -0.0119 0.1283 -1.4030 -0.02 -0.02 -0.12 -0.13
```